A Research Agenda for Opportunities of Rising Longevity and Developing Long-Term Care Systems

International seminar


Sarah Harper, University of Oxford, Oxford Institute of Population Ageing, UK

Yanan Zhang, Oxford Institute of Population Ageing, UK

Giovanni Lamura, Centre for Socio-Economic Research on Ageing, National Institute of Health and Science on Ageing, Ancona, Italy

Henk Nies, Vrije University in Amsterdam, the Netherlands


In our series of international seminars discussing ‘A Research Agenda for Ageing and Social Policy’, this online event highlighted another two key issues of ageing and social policy - on the one hand, the myth of the demographic deficit was challenged by Sarah Harper and Yanan Zhang, on the other hand, Giovanni Lamura and Henk Nies highlighted the research needs in the area of long-term care. 

Sarah Harper and Yanan Zhang provided evidence for the opportunities of rising longevity and dynamic changes in health from a European and Asian perspective – these opportunities, however, need to be underpinned by social policies that are reframed in an age-inclusive manner and empower the wider community through intergenerational programmes.

Giovanni Lamura and Henk Nies offered an overview of the emerging issues in long-term care, which is still an underresearched field. Analysing both the supply and the demand side, the authors identifyed a vast number of challenges but also opportunities and solutions that should inform the emerging policies to enhance long-term care systems across the globe.


Sarah Harper CBE is Clore Professor of Gerontology at the University of Oxford, and Director of the Oxford Institute of Population Ageing, UK. She advises the UK government on ageing issues and was appointed a CBE for services to Demography in 2018. She has a background in anthropology and population studies. Her current research on demographic change addresses two broad questions: the impact of falling fertility and increasing life expectancy, and the interaction of population change with the environment.

********
P.
This record from the OMol25 dataset describes C19H26N2O3S in the gas phase. The level of theory is wB97M-V/def2-TZVPD.

Structure (XYZ):
```
51
Properties=species:S:1:pos:R:3:mulliken_charge:R:1
C 1.969 -6.845 0.846 -1.303
C 1.428 -5.829 -0.151 -0.103
C 0.032 -5.347 0.249 -0.880
O -0.513 -4.426 -0.671 -0.414
C -0.077 -3.141 -0.681 1.041
C 0.802 -2.571 0.227 -0.482
C 1.154 -1.233 0.138 -1.261
C 0.638 -0.442 -0.874 -0.010
C 0.978 0.996 -1.056 0.083
O 0.973 1.541 -2.144 -0.678
N 1.277 1.659 0.091 -0.218
C 1.611 3.056 0.106 -1.532
C 0.554 3.995 0.737 -0.255
C -0.799 3.865 0.107 0.511
C -1.550 4.891 -0.385 -0.622
C -2.794 4.478 -0.909 -0.491
C -2.978 3.138 -0.804 -0.641
S -1.636 2.357 -0.072 0.070
N 0.582 3.899 2.201 0.093
C 0.329 5.172 2.843 -0.977
C -0.260 2.873 2.783 -1.032
C -0.230 -1.010 -1.808 -0.300
C -0.600 -2.337 -1.724 0.841
O -1.447 -2.969 -2.579 -0.447
C -1.987 -2.226 -3.645 -0.910
H 2.045 -6.406 1.839 0.329
H 2.956 -7.183 0.544 0.364
H 1.312 -7.710 0.905 0.324
H 1.366 -6.276 -1.145 0.319
H 2.105 -4.975 -0.216 0.359
H 0.042 -4.929 1.264 0.354
H -0.665 -6.189 0.235 0.412
H 1.227 -3.163 1.022 0.368
H 1.866 -0.839 0.849 0.466
H 1.254 1.169 0.968 0.267
H 1.745 3.343 -0.941 0.510
H 2.547 3.204 0.652 0.409
H 0.909 5.006 0.501 0.589
H -1.221 5.916 -0.380 0.460
H -3.513 5.150 -1.343 0.404
H -3.819 2.551 -1.116 0.461
H 0.456 5.050 3.918 0.338
H -0.686 5.554 2.655 0.346
H 1.053 5.907 2.494 0.338
H 0.059 2.716 3.815 0.370
H -1.325 3.147 2.790 0.338
H -0.155 1.937 2.242 0.302
H -0.595 -0.370 -2.595 0.536
H -2.621 -2.921 -4.194 0.228
H -2.594 -1.389 -3.284 0.358
H -1.204 -1.845 -4.308 0.367
```

## Properties
Kohn-Sham gap: 8.833 eV
multiplicity: 1

Q.
This record from the OMol25 dataset describes C19H26N2O3S in the gas phase. The level of theory is wB97M-V/def2-TZVPD.

Structure (XYZ):
```
51
Properties=species:S:1:pos:R:3:mulliken_charge:R:1
C 2.134 1.071 6.291 -1.306
C 1.710 0.240 5.088 -0.103
C 2.910 -0.461 4.447 -0.879
O 2.544 -1.280 3.357 -0.393
C 2.236 -0.716 2.162 0.973
C 2.358 0.625 1.835 -0.328
C 2.029 1.075 0.567 -1.514
C 1.550 0.199 -0.393 -0.241
C 1.182 0.750 -1.723 0.529
O 1.698 1.752 -2.186 -0.695
N 0.230 0.047 -2.387 0.143
C -0.378 0.512 -3.604 -1.493
C -1.869 0.881 -3.410 0.300
C -2.580 -0.369 -2.989 -0.253
C -2.705 -0.882 -1.733 -0.318
C -3.358 -2.136 -1.711 -0.904
C -3.710 -2.562 -2.949 -0.435
S -3.258 -1.437 -4.171 -0.169
N -2.081 1.922 -2.410 0.065
C -1.277 3.111 -2.635 -1.042
C -3.485 2.284 -2.349 -1.082
C 1.436 -1.159 -0.080 -0.299
C 1.778 -1.623 1.175 0.644
O 1.710 -2.925 1.571 -0.454
C 1.291 -3.888 0.638 -0.901
H 2.845 1.840 5.996 0.330
H 2.603 0.443 7.045 0.324
H 1.270 1.557 6.738 0.365
H 1.222 0.878 4.349 0.368
H 0.990 -0.521 5.394 0.313
H 3.360 -1.151 5.166 0.405
H 3.673 0.270 4.151 0.360
H 2.718 1.337 2.560 0.369
H 2.133 2.118 0.313 0.461
H -0.283 -0.665 -1.889 0.053
H -0.330 -0.279 -4.363 0.474
H 0.201 1.366 -3.955 0.535
H -2.250 1.194 -4.404 0.554
H -2.370 -0.360 -0.854 0.690
H -3.556 -2.690 -0.811 0.412
********

Yanan Zhang has a PhD in Economics and is a Research Fellow at the Oxford Institute of Population Ageing, UK. She conducts research on the costs of social care in terms of economy, health and well-being, and develops evidence frames for positive interventions in support of population ageing. She has a special interest in China.

Giovanni Lamura leads the Centre for Socio-Economic Research on Ageing at INRCA IRCCS, Italy’s National Institute of Health and Science on Ageing. He graduated in economics, achieved a PhD in ‘Life course and social policy’ (University of Bremen, Germany), and was visiting fellow at University of Hamburg-Eppendorf (Germany) and the European Centre for Social Welfare Policy & Research (Austria). His research interests are in international research on family and long-term care, migrant care work and interdisciplinary research on ageing.

Henk Nies is Endowed Professor of Policy and Organisation Development in Long-term Care at the Vrije University in Amsterdam, the Netherlands. He graduated in Psychogerontology with a thesis on ‘Policy research in care for older people’. For a large part of his career, he was on the Executive Board of Vilans, the Netherlands’ Centre of Expertise for Long-term Care. His research interests are care workers, quality management, integrated care, the cooperation of formal and informal carers, and support for people with dementia.


International seminar
12:00 - 13:30